[Contents]
┌──
Diffraction record for TlIrRhO6. The powder XRD pattern is calculated, not measured: it uses a cell relaxed with PBE and Cu Kα, 1.54184 Å.

Main lines, low angle first (2θ from 15° to 90°):
2θ (°)  Rel. int.
21.35  28
28.66  100
33.04  76
39.68  42
44.30  31
55.68  50
56.36  30
59.02  23
76.09  13
85.49  14

Crystal structure
a b c (Å): 5.422 5.422 8.324
angles (deg): 90.00 90.00 120.00
Atoms (fractional coordinates):
Tl (0.333, 0.667, 0.250)
Tl (0.667, 0.333, 0.750)
Ir (0.333, 0.667, 0.750)
Ir (0.667, 0.333, 0.250)
Rh (0.000, 0.000, 0.000)
Rh (0.000, 0.000, 0.500)
O (0.040, 0.356, 0.618)
O (0.040, 0.683, 0.882)
O (0.317, 0.356, 0.882)
O (0.317, 0.960, 0.618)
O (0.356, 0.040, 0.118)
O (0.356, 0.317, 0.382)
O (0.644, 0.683, 0.618)
O (0.644, 0.960, 0.882)
O (0.683, 0.040, 0.382)
O (0.683, 0.644, 0.118)
O (0.960, 0.317, 0.118)
O (0.960, 0.644, 0.382)

Diffraction record for Hf5Zr2AlPd2. The powder XRD pattern is calculated, not measured: it uses a cell relaxed with PBE and Cu Kα, 1.54184 Å.

Main lines, low angle first (2θ from 15° to 90°):
2θ (°)  Rel. int.
17.85  21
33.25  58
34.24  50
34.69  24
36.59  100
39.28  48
41.82  38
53.35  20
58.75  17
64.32  17

Crystal structure
a b c (Å): 11.111 11.111 3.435
angles (deg): 90.00 90.00 90.00
Atoms (fractional coordinates):
Hf (0.000, 0.500, 0.000)
Hf (0.051, 0.201, 0.000)
Hf (0.201, 0.949, 0.000)
Hf (0.299, 0.449, 0.000)
Hf (0.449, 0.701, 0.000)
Hf (0.500, 0.000, 0.000)
Hf (0.551, 0.299, 0.000)
Hf (0.701, 0.551, 0.000)
Hf (0.799, 0.051, 0.000)
Hf (0.949, 0.799, 0.000)
Zr (0.178, 0.678, 0.500)
Zr (0.322, 0.178, 0.500)
Zr (0.678, 0.822, 0.500)
Zr (0.822, 0.322, 0.500)
Al (0.000, 0.000, 0.500)
Al (0.500, 0.500, 0.500)
Pd (0.130, 0.370, 0.500)
Pd (0.370, 0.870, 0.500)
Pd (0.630, 0.130, 0.500)
Pd (0.870, 0.630, 0.500)

Diffraction record for Pa2Ni5Ge3H2. The powder XRD pattern is calculated, not measured: it uses a cell relaxed with PBE and Cu Kα, 1.54184 Å.

Main lines, low angle first (2θ from 15° to 90°):
2θ (°)  Rel. int.
26.19  38
31.41  78
32.43  49
33.58  65
38.04  68
41.81  100
46.52  78
57.21  30
61.59  34
83.02  26

Crystal structure
a b c (Å): 10.767 10.767 10.767
angles (deg): 159.11 159.11 29.72
Atoms (fractional coordinates):
Pa (0.199, 0.199, 0.000)
Pa (0.801, 0.801, 0.000)
Ni (0.000, 0.000, 0.000)
Ni (0.082, 0.582, 0.500)
Ni (0.418, 0.918, 0.500)
Ni (0.582, 0.082, 0.500)
Ni (0.918, 0.418, 0.500)
Ge (0.344, 0.344, 0.000)
Ge (0.500, 0.500, 0.000)
Ge (0.656, 0.656, 0.000)
H (0.079, 0.079, 0.000)
H (0.921, 0.921, 0.000)

Diffraction record for Er5ThC4. The powder XRD pattern is calculated, not measured: it uses a cell relaxed with PBE and Cu Kα, 1.54184 Å.

Main lines, low angle first (2θ from 15° to 90°):
2θ (°)  Rel. int.
29.81  41
30.04  42
30.21  85
34.86  100
49.99  22
50.29  24
59.39  17
59.72  31
59.84  14
62.82  12

Crystal structure
a b c (Å): 8.117 8.117 7.337
angles (deg): 102.62 102.62 25.75
Atoms (fractional coordinates):
Er (0.000, 0.000, 0.000)
Er (0.331, 0.331, 0.643)
Er (0.339, 0.339, 0.191)
Er (0.661, 0.661, 0.809)
Er (0.669, 0.669, 0.357)
Th (0.000, 0.000, 0.500)
C (0.171, 0.171, 0.589)
C (0.496, 0.496, 0.237)
C (0.504, 0.504, 0.763)
C (0.829, 0.829, 0.411)

Diffraction record for RbSrLaF6. The powder XRD pattern is calculated, not measured: it uses a cell relaxed with PBE and Cu Kα, 1.54184 Å.

Main lines, low angle first (2θ from 15° to 90°):
2θ (°)  Rel. int.
23.09  17
23.50  100
24.01  24
24.29  20
24.96  75
30.78  29
37.98  18
40.53  21
42.03  29
48.06  27

Crystal structure
a b c (Å): 8.912 8.912 8.912
angles (deg): 122.37 119.84 88.11
Atoms (fractional coordinates):
Rb (0.282, 0.032, 0.250)
Rb (0.718, 0.968, 0.750)
Sr (0.000, 0.000, 0.500)
Sr (0.000, 0.500, 0.000)
La (0.000, 0.500, 0.500)
La (0.500, 0.500, 0.000)
F (0.046, 0.412, 0.234)
F (0.046, 0.813, 0.634)
F (0.077, 0.827, 0.250)
F (0.311, 0.561, 0.750)
F (0.321, 0.187, 0.734)
F (0.321, 0.588, 0.134)
F (0.679, 0.412, 0.866)
F (0.679, 0.813, 0.266)
F (0.689, 0.439, 0.250)
F (0.923, 0.173, 0.750)
└──
[To do]
Restate all of the rows further up unchanged.
[Done]
Diffraction record for TlIrRhO6. The powder XRD pattern is calculated, not measured: it uses a cell relaxed with PBE and Cu Kα, 1.54184 Å.

Main lines, low angle first (2θ from 15° to 90°):
2θ (°)  Rel. int.
21.35  28
28.66  100
33.04  76
39.68  42
44.30  31
55.68  50
56.36  30
59.02  23
76.09  13
85.49  14

Crystal structure
a b c (Å): 5.422 5.422 8.324
angles (deg): 90.00 90.00 120.00
Atoms (fractional coordinates):
Tl (0.333, 0.667, 0.250)
Tl (0.667, 0.333, 0.750)
Ir (0.333, 0.667, 0.750)
Ir (0.667, 0.333, 0.250)
Rh (0.000, 0.000, 0.000)
Rh (0.000, 0.000, 0.500)
O (0.040, 0.356, 0.618)
O (0.040, 0.683, 0.882)
O (0.317, 0.356, 0.882)
O (0.317, 0.960, 0.618)
O (0.356, 0.040, 0.118)
O (0.356, 0.317, 0.382)
O (0.644, 0.683, 0.618)
O (0.644, 0.960, 0.882)
O (0.683, 0.040, 0.382)
O (0.683, 0.644, 0.118)
O (0.960, 0.317, 0.118)
O (0.960, 0.644, 0.382)

Diffraction record for Hf5Zr2AlPd2. The powder XRD pattern is calculated, not measured: it uses a cell relaxed with PBE and Cu Kα, 1.54184 Å.

Main lines, low angle first (2θ from 15° to 90°):
2θ (°)  Rel. int.
17.85  21
33.25  58
34.24  50
34.69  24
36.59  100
39.28  48
41.82  38
53.35  20
58.75  17
64.32  17

Crystal structure
a b c (Å): 11.111 11.111 3.435
angles (deg): 90.00 90.00 90.00
Atoms (fractional coordinates):
Hf (0.000, 0.500, 0.000)
Hf (0.051, 0.201, 0.000)
Hf (0.201, 0.949, 0.000)
Hf (0.299, 0.449, 0.000)
Hf (0.449, 0.701, 0.000)
Hf (0.500, 0.000, 0.000)
Hf (0.551, 0.299, 0.000)
Hf (0.701, 0.551, 0.000)
Hf (0.799, 0.051, 0.000)
Hf (0.949, 0.799, 0.000)
Zr (0.178, 0.678, 0.500)
Zr (0.322, 0.178, 0.500)
Zr (0.678, 0.822, 0.500)
Zr (0.822, 0.322, 0.500)
Al (0.000, 0.000, 0.500)
Al (0.500, 0.500, 0.500)
Pd (0.130, 0.370, 0.500)
Pd (0.370, 0.870, 0.500)
Pd (0.630, 0.130, 0.500)
Pd (0.870, 0.630, 0.500)

Diffraction record for Pa2Ni5Ge3H2. The powder XRD pattern is calculated, not measured: it uses a cell relaxed with PBE and Cu Kα, 1.54184 Å.

Main lines, low angle first (2θ from 15° to 90°):
2θ (°)  Rel. int.
26.19  38
31.41  78
32.43  49
33.58  65
38.04  68
41.81  100
46.52  78
57.21  30
61.59  34
83.02  26

Crystal structure
a b c (Å): 10.767 10.767 10.767
angles (deg): 159.11 159.11 29.72
Atoms (fractional coordinates):
Pa (0.199, 0.199, 0.000)
Pa (0.801, 0.801, 0.000)
Ni (0.000, 0.000, 0.000)
Ni (0.082, 0.582, 0.500)
Ni (0.418, 0.918, 0.500)
Ni (0.582, 0.082, 0.500)
Ni (0.918, 0.418, 0.500)
Ge (0.344, 0.344, 0.000)
Ge (0.500, 0.500, 0.000)
Ge (0.656, 0.656, 0.000)
H (0.079, 0.079, 0.000)
H (0.921, 0.921, 0.000)

Diffraction record for Er5ThC4. The powder XRD pattern is calculated, not measured: it uses a cell relaxed with PBE and Cu Kα, 1.54184 Å.

Main lines, low angle first (2θ from 15° to 90°):
2θ (°)  Rel. int.
29.81  41
30.04  42
30.21  85
34.86  100
49.99  22
50.29  24
59.39  17
59.72  31
59.84  14
62.82  12

Crystal structure
a b c (Å): 8.117 8.117 7.337
angles (deg): 102.62 102.62 25.75
Atoms (fractional coordinates):
Er (0.000, 0.000, 0.000)
Er (0.331, 0.331, 0.643)
Er (0.339, 0.339, 0.191)
Er (0.661, 0.661, 0.809)
Er (0.669, 0.669, 0.357)
Th (0.000, 0.000, 0.500)
C (0.171, 0.171, 0.589)
C (0.496, 0.496, 0.237)
C (0.504, 0.504, 0.763)
C (0.829, 0.829, 0.411)

Diffraction record for RbSrLaF6. The powder XRD pattern is calculated, not measured: it uses a cell relaxed with PBE and Cu Kα, 1.54184 Å.

Main lines, low angle first (2θ from 15° to 90°):
2θ (°)  Rel. int.
23.09  17
23.50  100
24.01  24
24.29  20
24.96  75
30.78  29
37.98  18
40.53  21
42.03  29
48.06  27

Crystal structure
a b c (Å): 8.912 8.912 8.912
angles (deg): 122.37 119.84 88.11
Atoms (fractional coordinates):
Rb (0.282, 0.032, 0.250)
Rb (0.718, 0.968, 0.750)
Sr (0.000, 0.000, 0.500)
Sr (0.000, 0.500, 0.000)
La (0.000, 0.500, 0.500)
La (0.500, 0.500, 0.000)
F (0.046, 0.412, 0.234)
F (0.046, 0.813, 0.634)
F (0.077, 0.827, 0.250)
F (0.311, 0.561, 0.750)
F (0.321, 0.187, 0.734)
F (0.321, 0.588, 0.134)
F (0.679, 0.412, 0.866)
F (0.679, 0.813, 0.266)
F (0.689, 0.439, 0.250)
F (0.923, 0.173, 0.750)